The Throne... Of Lies... Returns. [Roleplay Thread]

“That… fucking… DICK!”
Marian looks like she’s ready to throw the book down on the ground in frustration.

This is the exact reason of why I was kept where I was.

“Fucking… shit.”
Marian realizes that she should probably not throw it as its shows the only way to the Cultist’s Hideout.
“How close are we to our destination?”

An hour.

She sighs and whisper under her breath.
“It’ll all be over soon, Marian. You’ll get what you’re coming for and you can save the land from Captain Asshole.”

Lars simply replies,
“You may.”

You do not have the power to influence these events from taking their course.

Not yet at least.

“Not yet? …. I’m sure resurrecting some more soldiers will change that, right?”

Not enough.

“Then what can we do to change fate?”

To change what will happen, you will need to cede yourself to the whims of gods.

They may listen to your plight.

“C-Cede?! … We can do that once we get to the hideout, right? I’m not quite ready to do that at the moment.”

Of course.

In a back room, you found a scepter of some kind. It likely belonged to that woman.

Lily takes the scepter, examining it. (oh boy sorc time)

The brand on the back of your hand begins to light up when touching the scepter.

It spreads, the branches of the brand going up your sleeve.

=====
No. 1
Diffraction record for Ac8PmSm4. The PXRD pattern is calculated, not measured: it uses a DFT-relaxed cell (PBE, Alexandria) and Cu Kα X-rays.
Peak positions follow from Bragg's law for the DFT cell and can differ from measured ones.

Cell and atoms:
```
data_Ac8PmSm4
_space_group_name_H-M_alt 'R -3 m'
_space_group_IT_number 166
_space_group_name_Hall '-R 3 2"'
_cell_length_a 11.8452
_cell_length_b 11.8452
_cell_length_c 14.4784
_cell_angle_alpha 90.00
_cell_angle_beta 90.00
_cell_angle_gamma 120.00
loop_
_atom_site_label
_atom_site_fract_x
_atom_site_fract_y
_atom_site_fract_z
Ac1 0.0000 0.0000 0.2402
Ac2 0.0125 0.5063 0.7465
Pm1 0.0000 0.0000 0.5000
Sm1 0.0000 0.0000 0.0000
Sm2 0.0000 0.5000 0.0000
```

The 10 most intense peaks (5° ≤ 2θ ≤ 70°), sorted by position:
(hkl)  Position (°2θ)  I (rel.)
0 0 3  18.36  8
2 0 2  21.23  19
2 2 0  30.20  100
2 2 3  35.57  4
0 4 2  37.21  6
4 0 4  43.24  19
4 2 2  48.65  8
6 0 0  53.62  30
2 0 8  53.71  10
4 4 0  62.80  12

No. 2
Diffraction record for Cr4Ga6Se15. The PXRD pattern is calculated, not measured: it uses a DFT-relaxed cell (PBE, Alexandria) and Cu Kα X-rays.
Peak positions follow from Bragg's law for the DFT cell and can differ from measured ones.

Cell and atoms:
```
data_Cr4Ga6Se15
_space_group_name_H-M_alt 'C 1 m 1'
_space_group_IT_number 8
_cell_length_a 6.7075
_cell_length_b 11.4926
_cell_length_c 15.9332
_cell_angle_alpha 90.00
_cell_angle_beta 100.35
_cell_angle_gamma 90.00
loop_
_space_group_symop_operation_xyz
'x,y,z'
'x,-y,z'
'x+1/2,y+1/2,z'
'x+1/2,-y+1/2,z'
loop_
_atom_site_label
_atom_site_fract_x
_atom_site_fract_y
_atom_site_fract_z
Cr1 0.0000 0.0000 0.0000
Cr2 0.1050 0.3432 0.3968
Cr3 0.1061 0.0000 0.3959
Ga1 0.1280 0.1693 0.8403
Ga2 0.3627 0.3323 0.1572
Ga3 0.3874 0.1590 0.6352
Se1 0.0557 0.1551 0.6818
Se2 0.0838 0.5000 0.6955
Se3 0.1903 0.1464 0.1173
Se4 0.1977 0.5000 0.0809
Se5 0.2942 0.0000 0.9144
Se6 0.3068 0.1685 0.4779
Se7 0.3066 0.3510 0.8849
Se8 0.3114 0.5000 0.4796
Se9 0.4027 0.0000 0.3141
Se10 0.4028 0.3322 0.3146
```

The 10 most intense peaks (5° ≤ 2θ ≤ 70°), sorted by position:
(hkl)  Position (°2θ)  I (rel.)
0 0 4  22.69  45
1 3 0  26.92  26
1 3 1  28.03  35
0 0 5  28.47  29
2 0 -3  29.30  71
1 3 2  30.22  100
1 3 5  41.40  52
3 3 -1  47.09  82
0 6 0  47.47  43
1 3 -8  52.05  42

* * * * *

Entry 1:
Simulated X-ray diffraction stick pattern of ZrZnCu5 for a wavelength of 1.5418 Å, from a structure optimized by DFT (PBE).

Crystal structure
```
ZrZnCu5
1.0
7.923 0.000 0.000
0.000 4.851 0.000
0.000 0.000 10.144
Zr Zn Cu
4 4 20
Direct
0.246 0.250 0.067 Zr
0.254 0.750 0.567 Zr
0.746 0.250 0.433 Zr
0.754 0.750 0.933 Zr
0.142 0.750 0.856 Zn
0.358 0.250 0.356 Zn
0.642 0.750 0.644 Zn
0.858 0.250 0.144 Zn
0.053 0.750 0.087 Cu
0.067 0.006 0.307 Cu
0.067 0.494 0.307 Cu
0.092 0.250 0.516 Cu
0.186 0.250 0.748 Cu
0.314 0.750 0.248 Cu
0.408 0.750 0.016 Cu
0.433 0.506 0.807 Cu
0.433 0.994 0.807 Cu
0.447 0.250 0.587 Cu
0.553 0.750 0.413 Cu
0.567 0.006 0.193 Cu
=====

Lily blinks a couple times, surprised, then shrugs and continues to search the cottage. A magic staff was not the weirdest thing that has happened today.

“Okay, a magic staff. Cool.”

Nothing else of interest could be found. It seemed like that woman took up residence here just recently, considering the–oh god there’s a body in the closet.

When opening up a closet, a body falls out. It looks like they died recently, their chest area completely burnt out. The clothes they wore were very visibly made by hand.

Marian closes her eyes and begins to think to herself. If she has to speak to a god in order to save Adiart, why didn’t they just go to a church? Why do it in an abandoned hideout where the Cultists used to live?

Lily screams upon opening up the closet, scrambling away from the body. Sure, dealing with bodies isn’t completely out of line in the medical field, but this… was completely unexpected, to say the least.

“EEEEKK! Oh, fuck, oh, fuck.”

Lily moves toward the door, wanting to get out of there as soon as possible, but some thrifty part of her wants to make sure that the body doesn’t have anything useful first.

“It’s just a body Lily, nothing to frightened of. It can’t hurt you.”

+++
Structure and simulated X-ray powder pattern of Mg2Mo3WS8 (a cell relaxed with PBE; Cu Kα, 1.54184 Å).

Structure:
Lattice parameters (Å, degrees): 7.4649 7.4649 17.0724 90.00 90.00 120.00
Space group R3m (No. 160, hexagonal axes)
Unique sites:
1 Mg 0.0000 0.0000 0.0000 (multiplicity 3)
2 Mg 0.0000 0.0000 0.2414 (multiplicity 3)
3 Mo 0.1695 0.3390 0.4556 (multiplicity 9)
4 W 0.0000 0.0000 0.6588 (multiplicity 3)
5 S 0.0000 0.0000 0.3840 (multiplicity 3)
6 S 0.0000 0.0000 0.8648 (multiplicity 3)
7 S 0.0057 0.5028 0.3877 (multiplicity 9)
8 S 0.1908 0.3815 0.2150 (multiplicity 9)

Top 6 peaks for 2θ = 10–90°, by angle:
2theta  Rel. int.  h k l
14.65  100  1 0 1
28.60  47  1 1 3
29.57  28  0 1 5
34.82  68  0 2 4
48.80  36  2 2 0
51.28  26  2 0 8

~~~~~

This entry pairs a crystal structure of Li3Fe2P2C2O14 with its computed powder X-ray diffraction pattern. Radiation: Cu Kα (λ = 1.5418 Å). Structure: DFT lattice parameters and positions (PBE+U).
Neutral-atom scattering factors, no anomalous dispersion.

Structure:
Cell lengths 5.1229, 6.4825, 8.3745 Å; angles 90.61, 94.71, 90.05 degrees
Space group P1 (No. 1)
One atom of each set of equivalent atoms:
Li: 0.0000 0.0000 0.0000
Li: 0.0191 0.7048 0.6097
Li: 0.4881 0.2210 0.8147
Fe: 0.0494 0.2114 0.3886
Fe: 0.4453 0.7017 0.0516
P: 0.5193 0.2070 0.1386
P: 0.9683 0.7152 0.2959
C: 0.5434 0.7185 0.7619
C: 0.9553 0.2032 0.6802
O: 0.0399 0.5233 0.3981
O: 0.0402 0.8984 0.4116
O: 0.1086 0.7298 0.1387
O: 0.1996 0.2105 0.6460
O: 0.2984 0.7086 0.7937
O: 0.3793 0.2148 0.2929
O: 0.4177 0.0260 0.0239
O: 0.4611 0.3970 0.0289
O: 0.6263 0.7149 0.6247
O: 0.6710 0.7166 0.2431
O: 0.7129 0.7291 0.8890
O: 0.7838 0.2188 0.5577
O: 0.8204 0.1824 0.1806
O: 0.8801 0.1813 0.8203

Peak list (10 most intense, 10° ≤ 2θ ≤ 90°, in order of rising 2θ)
- 2θ 10.6, I 82, (0 0 1)
- 2θ 17.2, I 19, (0 1 -1)
- 2θ 17.4, I 19, (0 1 1)
- 2θ 19.6, I 54, (1 0 -1)
- 2θ 21.1, I 71, (1 0 1)
- 2θ 22.2, I 16, (1 -1 0)
- 2θ 26.5, I 34, (1 0 -2)
- 2θ 27.5, I 100, (0 2 0)
- 2θ 35.1, I 17, (2 0 0)
- 2θ 35.9, I 19, (2 0 -1)

~~~~~

# Cs2SbBr4
Calculated X-ray powder pattern, CuKα. Input: a PBE-relaxed structure.
Lines closer than 0.1° are merged.

Most intense lines, 2θ from 10° to 80°, by intensity:
index  2theta  I_rel
1 1 2  23.90  100.0
2 0 2  28.31  96.5
2 2 0  30.17  93.4
3 1 2  38.85  53.2
1 0 1  14.05  49.5
2 2 4  48.93  47.3
4 0 0  43.20  33.6
4 2 2  52.45  31.4

Atomic structure:
a b c (Å): 8.378 8.378 9.572
angles (deg): 90.00 90.00 90.00
Space group I4/mmm (No. 139)
Unique sites:
Cs 0.000 0.500 0.250
Sb 0.000 0.000 0.000
Br 0.239 0.239 0.000

=====

# Rb4NaAu
Calculated X-ray powder pattern, CuKα. Input: a PBE-relaxed structure.
Lines closer than 0.1° are merged.

Most intense lines, 2θ from 10° to 80°, by intensity:
index  2theta  I_rel
0 2 0  10.56  100.0
2 2 1  25.90  97.4
1 3 -2  27.36  70.2
3 1 -1  24.26  63.4
1 3 2  32.07  52.3
2 2 -2  26.02  47.5
1 1 2  28.25  46.1
2 4 0  27.08  42.6

Atomic structure:
a b c (Å): 11.399 16.753 8.030
+++

After reassuring herself that she will be fine, she inspects the body.